# Data
=====
The following is a GGA-PBE calculation of a relaxed PmB3Pt6 crystal, from Alexandria via LeMat-Bulk.

Cell lengths 5.6392, 5.6392, 16.1053 Å; angles 90.00, 90.00, 120.00 degrees
Space group R3 (No. 146, hexagonal axes)
One atom of each set of equivalent atoms:
Pm: 0.0000 0.0000 0.0000 [3 per cell]
B: 0.0000 0.0000 0.2884 [3 per cell]
B: 0.0000 0.0000 0.6229 [3 per cell]
B: 0.0000 0.0000 0.8285 [3 per cell]
Pt: 0.0564 0.3373 0.2096 [9 per cell]
Pt: 0.1600 0.3349 0.3881 [9 per cell]

Calculated values
V	148	Å³/f.u.
energy of formation	-0.458	eV per atom
total magnetization	0.000	Bohr magnetons per cell

=====

The following is a GGA-PBE calculation of a relaxed K2Li2O2F crystal, from Alexandria via LeMat-Bulk.

Cell lengths 10.9303, 3.4473, 6.6297 Å; angles 90.00, 125.64, 90.00 degrees
Space group C2/m (No. 12)
One atom of each set of equivalent atoms:
K: 0.0608 0.0000 0.3383 [4 per cell]
Li: 0.2021 0.5000 0.0815 [4 per cell]
O: 0.1931 0.5000 0.7706 [4 per cell]
F: 0.0000 0.5000 0.0000 [2 per cell]

Calculated values
V	102	Å³/f.u.
energy relative to the elements, uncorrected	-1.7085	eV per atom
total magnetization	2.001	Bohr magnetons per cell

=====

The following is a GGA-PBE calculation of a relaxed LaYW2 crystal, from Alexandria via LeMat-Bulk.

Cell lengths 3.3148, 3.3144, 8.8589 Å; angles 90.00, 90.07, 90.00 degrees
Space group Pm (No. 6)
One atom of each set of equivalent atoms:
La: 0.0000 0.0000 0.0000 [1 per cell]
Y: 0.5020 0.5000 0.6256 [1 per cell]
W: 0.0008 0.0000 0.3990 [1 per cell]
W: 0.5005 0.5000 0.2519 [1 per cell]

Calculated values
V	97	Å³/f.u.
energy of formation	0.290	eV per atom
total magnetization	0.000	Bohr magnetons per cell

=====

The following is a GGA-PBE calculation of a relaxed ScCr2Br crystal, from Alexandria via LeMat-Bulk.

Cell lengths 3.5292, 3.5292, 6.5013 Å; angles 90.00, 90.00, 90.00 degrees
Space group P4/mmm (No. 123)
One atom of each set of equivalent atoms:
Sc: 0.0000 0.0000 0.0000 [1 per cell]
Cr: 0.5000 0.5000 0.2321 [2 per cell]
Br: 0.0000 0.0000 0.5000 [1 per cell]

Calculated values
V	81	Å³/f.u.
energy relative to the elements, uncorrected	0.4365	eV per atom
total magnetization	8.053	Bohr magnetons per cell

=====

The following is a GGA-PBE calculation of a relaxed DySbAs crystal, from Alexandria via LeMat-Bulk.

Cell lengths 5.5321, 5.5192, 10.4936 Å; angles 90.00, 105.22, 90.00 degrees
Space group C2/m (No. 12)
One atom of each set of equivalent atoms:
Dy: 0.1163 0.0000 0.2340 [4 per cell]
Sb: 0.2109 0.5000 0.4178 [4 per cell]
As: 0.0634 0.5000 0.1284 [4 per cell]

Calculated values
V	77	Å³/f.u.
energy relative to the elements, uncorrected	-0.7182	eV per atom
total magnetization	0.000	Bohr magnetons per cell
=====

# Wanted
Next, work out how many lines further up have the word "of" in them; a number is enough.

# Outcome
12